== File ==
____________
For RbZn2MoF8, a crystal structure in Alexandria, relaxed with PBE+U gives the theoretical powder XRD pattern in this record (Cu Kα).

Atomic structure:
```
RbZn2MoF8
1.0
2.697 1.557 8.059
-2.697 1.557 8.059
0.000 -3.114 8.059
Rb Zn Mo F
1 2 1 8
direct
0.000 0.000 0.000
0.248 0.248 0.248
0.752 0.752 0.752
0.500 0.500 0.500
0.129 0.455 0.763
0.237 0.871 0.545
0.324 0.324 0.324
0.455 0.763 0.129
0.545 0.237 0.871
0.676 0.676 0.676
0.763 0.129 0.455
0.871 0.545 0.237
```

Peak list (10 most intense, 2θ = 15–90°, low angle first)
d_spacing  I (rel.)
3.696  100.0
2.697  40.4
2.537  29.4
2.241  9.0
2.178  21.6
1.848  12.9
1.695  20.2
1.614  26.8
1.557  16.0
1.524  12.9

~~~~~

For Na5B9C, DFT lattice parameters and positions (PBE) gives the theoretical powder diffractogram in this record (Cu Kα, 1.54184 Å).
Intensities are scaled so that the largest is 100.

Cell and atoms:
Unit cell a=5.1136 b=7.9383 c=9.1654 alpha=75.82 beta=73.84 gamma=71.23
Atoms (fractional coordinates):
Na 0.0000 0.0000 0.0000
Na 0.0000 0.5000 0.5000
Na 0.1960 0.1007 0.5011
Na 0.2004 0.5995 0.0004
Na 0.3977 0.2000 0.9986
Na 0.4033 0.7007 0.4988
Na 0.5967 0.2993 0.5012
Na 0.6023 0.8000 0.0014
Na 0.7996 0.4005 0.9996
Na 0.8040 0.8993 0.4989
B 0.0365 0.8521 0.7503
B 0.0399 0.3500 0.2498
B 0.1632 0.2555 0.7494
B 0.1800 0.7508 0.2497
B 0.2311 0.9561 0.2498
B 0.2387 0.4476 0.7497
B 0.3899 0.8320 0.7502
B 0.4199 0.0506 0.7492
B 0.4285 0.5324 0.2496
B 0.5715 0.4676 0.7504
B 0.5801 0.9494 0.2508
B 0.6101 0.1680 0.2498
B 0.7613 0.5524 0.2503
B 0.7689 0.0439 0.7502
B 0.8200 0.2492 0.7503
B 0.8368 0.7445 0.2506
B 0.9601 0.6500 0.7502
B 0.9635 0.1479 0.2497
C 0.3581 0.3505 0.2493
C 0.6419 0.6494 0.7507

Largest 12 diffraction maxima, sorted by position, 2θ from 15° to 90°:
2θ = 34.6°, I 21; 2θ = 35.1°, I 9; 2θ = 40.5°, I 100; 2θ = 41.0°, I 50; 2θ = 41.7°, I 36; 2θ = 55.2°, I 11; 2θ = 61.7°, I 9; 2θ = 62.7°, I 17; 2θ = 75.3°, I 12; 2θ = 76.8°, I 12; 2θ = 77.2°, I 9; 2θ = 78.1°, I 17


For Na10B17C3, DFT lattice parameters and positions (PBE) gives the theoretical powder diffractogram in this record (Cu Kα, 1.54184 Å).
Intensities are scaled so that the largest is 100.

Cell and atoms:
Unit cell a=5.3107 b=7.5877 c=9.1474 alpha=106.97 beta=90.02 gamma=110.46
Atoms (fractional coordinates):
Na 0.0000 0.0000 0.0000
Na 0.0972 0.1968 0.4932
Na 0.1978 0.3944 0.9867
Na 0.2977 0.5979 0.4962
Na 0.3964 0.7980 0.9969
Na 0.4953 0.9962 0.4893
Na 0.5938 0.1973 0.9928
Na 0.6969 0.3987 0.4974
Na 0.7959 0.5962 0.9891
Na 0.8970 0.7960 0.4904
B 0.0028 0.3100 0.2433
B 0.0792 0.5056 0.7432
B 0.0991 0.8868 0.2430
B 0.1895 0.6843 0.2433
B 0.2665 0.8972 0.7434
B 0.3275 0.3089 0.2432
B 0.3821 0.0924 0.2430
B 0.4068 0.5074 0.7434
B 0.4706 0.2885 0.7433
B 0.5157 0.6856 0.2429
B 0.5959 0.8973 0.7431
B 0.7095 0.1081 0.2432
B 0.7206 0.7076 0.7431
B 0.7867 0.9021 0.2432
B 0.7960 0.2864 0.7433
B 0.8762 0.4965 0.2431
B 0.9108 0.0871 0.7434
C 0.0123 0.7015 0.7430
C 0.2079 0.0927 0.7437
C 0.5831 0.4972 0.2430

Largest 12 diffraction maxima, sorted by position, 2θ from 15° to 90°:
2θ = 33.8°, I 10; 2θ = 35.8°, I 13; 2θ = 39.8°, I 36; 2θ = 41.6°, I 100; 2θ = 56.0°, I 7; 2θ = 61.7°, I 7; 2θ = 61.7°, I 7; 2θ = 65.7°, I 7; 2θ = 75.9°, I 6; 2θ = 77.2°, I 10; 2θ = 79.6°, I 7; 2θ = 80.8°, I 6


For Na5B8C2, DFT lattice parameters and positions (PBE) gives the theoretical powder diffractogram in this record (Cu Kα, 1.54184 Å).
Intensities are scaled so that the largest is 100.

Cell and atoms:
Unit cell a=5.2815 b=7.5201 c=9.1198 alpha=73.17 beta=89.96 gamma=69.48
Atoms (fractional coordinates):
Na 0.0000 0.0000 0.0000
Na 0.0989 0.7990 0.5037
Na 0.1977 0.6006 0.9961
Na 0.2955 0.4008 0.4968
Na 0.4005 0.1968 0.0068
Na 0.5000 0.0000 0.5000
Na 0.5995 0.8032 0.9932
Na 0.7045 0.5992 0.5032
Na 0.8023 0.3995 0.0039
Na 0.9011 0.2010 0.4963
B 0.0303 0.2998 0.7501
B 0.1104 0.0887 0.2500
B 0.1747 0.3074 0.2501
B 0.2178 0.9080 0.7498
B 0.2979 0.7009 0.2496
B 0.3867 0.4896 0.7498
B 0.4241 0.8890 0.2499
B 0.4993 0.3112 0.2498
____________
== Assignment ==
The reader should find the line further above that holds "0.324 0.324", then retype that line and all lines after it there.
== Worked solution ==
0.324 0.324 0.324
0.455 0.763 0.129
0.545 0.237 0.871
0.676 0.676 0.676
0.763 0.129 0.455
0.871 0.545 0.237
```

Peak list (10 most intense, 2θ = 15–90°, low angle first)
d_spacing  I (rel.)
3.696  100.0
2.697  40.4
2.537  29.4
2.241  9.0
2.178  21.6
1.848  12.9
1.695  20.2
1.614  26.8
1.557  16.0
1.524  12.9

~~~~~

For Na5B9C, DFT lattice parameters and positions (PBE) gives the theoretical powder diffractogram in this record (Cu Kα, 1.54184 Å).
Intensities are scaled so that the largest is 100.

Cell and atoms:
Unit cell a=5.1136 b=7.9383 c=9.1654 alpha=75.82 beta=73.84 gamma=71.23
Atoms (fractional coordinates):
Na 0.0000 0.0000 0.0000
Na 0.0000 0.5000 0.5000
Na 0.1960 0.1007 0.5011
Na 0.2004 0.5995 0.0004
Na 0.3977 0.2000 0.9986
Na 0.4033 0.7007 0.4988
Na 0.5967 0.2993 0.5012
Na 0.6023 0.8000 0.0014
Na 0.7996 0.4005 0.9996
Na 0.8040 0.8993 0.4989
B 0.0365 0.8521 0.7503
B 0.0399 0.3500 0.2498
B 0.1632 0.2555 0.7494
B 0.1800 0.7508 0.2497
B 0.2311 0.9561 0.2498
B 0.2387 0.4476 0.7497
B 0.3899 0.8320 0.7502
B 0.4199 0.0506 0.7492
B 0.4285 0.5324 0.2496
B 0.5715 0.4676 0.7504
B 0.5801 0.9494 0.2508
B 0.6101 0.1680 0.2498
B 0.7613 0.5524 0.2503
B 0.7689 0.0439 0.7502
B 0.8200 0.2492 0.7503
B 0.8368 0.7445 0.2506
B 0.9601 0.6500 0.7502
B 0.9635 0.1479 0.2497
C 0.3581 0.3505 0.2493
C 0.6419 0.6494 0.7507

Largest 12 diffraction maxima, sorted by position, 2θ from 15° to 90°:
2θ = 34.6°, I 21; 2θ = 35.1°, I 9; 2θ = 40.5°, I 100; 2θ = 41.0°, I 50; 2θ = 41.7°, I 36; 2θ = 55.2°, I 11; 2θ = 61.7°, I 9; 2θ = 62.7°, I 17; 2θ = 75.3°, I 12; 2θ = 76.8°, I 12; 2θ = 77.2°, I 9; 2θ = 78.1°, I 17


For Na10B17C3, DFT lattice parameters and positions (PBE) gives the theoretical powder diffractogram in this record (Cu Kα, 1.54184 Å).
Intensities are scaled so that the largest is 100.

Cell and atoms:
Unit cell a=5.3107 b=7.5877 c=9.1474 alpha=106.97 beta=90.02 gamma=110.46
Atoms (fractional coordinates):
Na 0.0000 0.0000 0.0000
Na 0.0972 0.1968 0.4932
Na 0.1978 0.3944 0.9867
Na 0.2977 0.5979 0.4962
Na 0.3964 0.7980 0.9969
Na 0.4953 0.9962 0.4893
Na 0.5938 0.1973 0.9928
Na 0.6969 0.3987 0.4974
Na 0.7959 0.5962 0.9891
Na 0.8970 0.7960 0.4904
B 0.0028 0.3100 0.2433
B 0.0792 0.5056 0.7432
B 0.0991 0.8868 0.2430
B 0.1895 0.6843 0.2433
B 0.2665 0.8972 0.7434
B 0.3275 0.3089 0.2432
B 0.3821 0.0924 0.2430
B 0.4068 0.5074 0.7434
B 0.4706 0.2885 0.7433
B 0.5157 0.6856 0.2429
B 0.5959 0.8973 0.7431
B 0.7095 0.1081 0.2432
B 0.7206 0.7076 0.7431
B 0.7867 0.9021 0.2432
B 0.7960 0.2864 0.7433
B 0.8762 0.4965 0.2431
B 0.9108 0.0871 0.7434
C 0.0123 0.7015 0.7430
C 0.2079 0.0927 0.7437
C 0.5831 0.4972 0.2430

Largest 12 diffraction maxima, sorted by position, 2θ from 15° to 90°:
2θ = 33.8°, I 10; 2θ = 35.8°, I 13; 2θ = 39.8°, I 36; 2θ = 41.6°, I 100; 2θ = 56.0°, I 7; 2θ = 61.7°, I 7; 2θ = 61.7°, I 7; 2θ = 65.7°, I 7; 2θ = 75.9°, I 6; 2θ = 77.2°, I 10; 2θ = 79.6°, I 7; 2θ = 80.8°, I 6


For Na5B8C2, DFT lattice parameters and positions (PBE) gives the theoretical powder diffractogram in this record (Cu Kα, 1.54184 Å).
Intensities are scaled so that the largest is 100.

Cell and atoms:
Unit cell a=5.2815 b=7.5201 c=9.1198 alpha=73.17 beta=89.96 gamma=69.48
Atoms (fractional coordinates):
Na 0.0000 0.0000 0.0000
Na 0.0989 0.7990 0.5037
Na 0.1977 0.6006 0.9961
Na 0.2955 0.4008 0.4968
Na 0.4005 0.1968 0.0068
Na 0.5000 0.0000 0.5000
Na 0.5995 0.8032 0.9932
Na 0.7045 0.5992 0.5032
Na 0.8023 0.3995 0.0039
Na 0.9011 0.2010 0.4963
B 0.0303 0.2998 0.7501
B 0.1104 0.0887 0.2500
B 0.1747 0.3074 0.2501
B 0.2178 0.9080 0.7498
B 0.2979 0.7009 0.2496
B 0.3867 0.4896 0.7498
B 0.4241 0.8890 0.2499
B 0.4993 0.3112 0.2498